# iepay-sdk

Iepay PHP SDK version 3.x APIs.

# Installation / 安装

composer require iepay/iepay-sdk

# Usage / 使用方法

# Add environment config / 添加环境变量



# Add namespace / 添加文件命名空间

use IEPaySDK\Payment;

# Payment / 支付

$paymentType = 'IE0012';			// Payment Type see types table (支付类别,参考支付类别表)
$orderId = '20220210001';			// Your order id (随机生成的订单号)
$amount = 100;						// Cent (分)
$subject = 'test subject';			// Item subject (商品标题)
$details = 'test details';			// Item details (商品详情)
$response = Payment::make($paymentType)->payment($orderId, $amount, $subject, $details);

# Customise return URL or notify URL / 自定义返回链接

$returnUrl = 'https://xxx.xxx.xxx/return';
$notifyUrl = 'https://xxx.xxx.xxx/notify';
$response = Payment::make($paymentType, $returnUrl, $notifyUrl)->payment($orderId, $amount, $subject, $details);

# Response / 返回值

    "success": true,
    "status": true,
    "error_code": 0,
    "message": "OK",
    "data": {
        "pay_type": "IE0012",
        "pay_type_str": "Alipay Web",
        "out_trade_no": "20220210001",
        "trade_no": null,
        "amount": 102,
        "status": 0,
        "status_str": "Unpay",
        "pay_url": "https://intlmapi.alipay.com/gateway.do?xxxxxxxx=xxxxxxxx&xxxxxxxx=xxxxxxxx"
    "success": true,
    "status": true,
    "error_code": 0,
    "message": "OK",
    "data": {
        "pay_type": "IE0026",
        "pay_type_str": "Wechat Mini",
        "out_trade_no": "20220210001",
        "trade_no": null,
        "amount": 102,
        "status": 0,
        "status_str": "Unpay",
        "pay_param": {
            "appId": "wx123123",
            "timeStamp": 1644978320,
            "nonceStr": "cpxg8dl123123mi4oysnfx",
            "package": "prepay_id=wx123456",
            "signType": "MD5",
            "paySign": "96DB44xxxxxxxxxxx"
        "pay_url": null

# Query / 查询

$paymentType = 'IE0012';			// Payment Type see types table (支付类别,参考支付类别表)
$orderId = '20220210001';			// Your order id (需要查询的订单号)
$response = Payment::make($paymentType)->query($orderId);

# Response / 返回值

    "success": true,
    "status": true,
    "error_code": 0,
    "message": "OK",
    "data": {
        "pay_type": "IE0061",
        "pay_type_str": "Windcave Host Page Payment",
        "out_trade_no": "20220210005",
        "trade_no": "000001011336275001f9e4140da76641",
        "amount": 101,
        "status": 1,
        "status_str": "Paid",
        "refunded_amount": 0,
        "pay_url": "https://sec.windcave.com/pxmi3/F7F7CF323F53968E56CA0650BE713B347D965FA2CC2827399D145DE371986332500051BD83B6BCC7B8D21D53BAB554800"
    "success": true,
    "status": true,
    "error_code": 0,
    "message": "OK",
    "data": {
        "pay_type": "IE0026",
        "pay_type_str": "Wechat Mini",
        "out_trade_no": "20220210001",
        "trade_no": null,
        "amount": 102,
        "status": 0,
        "status_str": "Unpay",
        "pay_param": {
            "appId": "wx123123",
            "timeStamp": 1644978320,
            "nonceStr": "cpxg8dl123123mi4oysnfx",
            "package": "prepay_id=wx123456",
            "signType": "MD5",
            "paySign": "96DB44xxxxxxxxxxx"
        "pay_url": null

# Refund / 退款

$paymentType = 'IE0012';			// Payment Type see types table (支付类别,参考支付类别表)
$orderId = '20220210001';			// Your order id (需要退款的订单号)
$amount = 100;						// Cent (分)
$response = Payment::make($paymentType)->refund($orderId, $amount);

# Response / 返回值

    "success": true,
    "status": true,
    "error_code": 0,
    "message": "OK",
    "data": {
        "pay_type": "IE0061",
        "pay_type_str": "Windcave Host Page Payment",
        "out_trade_no": "20220210005",
        "trade_no": "000001011336275001f9e4140da76641",
        "amount": 101,
        "status": 2,
        "status_str": "Refund",
        "refunded": 10

# Pay Type Table / 支付类别表

Code Pay Types Desc Status
IE0012 Alipay Online PC Qrcode 支付宝PC二维码(PC收银页面) 已开通
IE0013 Alipay Online Wap Qrcode 支付宝H5手机端二维码(Wap 收银页面) 已开通
IE0015 Alipay App Direct 支付宝In-APP支付(native开发,需接入支付宝APP-SDK) 已开通
IE0021 Wechat PC Qrcode 微信PC二维码 已开通
IE0022 Wechat Wap Qrcode 微信WAP支付 已开通
IE0025 Wechat App Direct 微信In-APP支付 已开通
IE0026 Wechat Mini Direct 微信小程序支付 已开通
IE0027 Wechat H5 微信外h5唤起微信支付 已开通
IE0036 Union Secure Online Payment 银联Secure线上支付 新开通
IE0041 POLI Pay POLI PC 支付 已开通
IE0061 Windcave Host Page Payment Windcave PC 支付 即将开通


# WeChat Pay H5 Payment (Type IE0027) Configuration Instructions

When using the WeChat Pay H5 payment feature, please follow these configuration requirements:

# Calculated crystals that have nothing to do with the text
~~~
1.
DFT (GGA-PBE) results for an optimized crystal structure of KRu2Pt.

a = 2.823 Å, b = 2.823 Å, c = 9.130 Å
α = 90.00°, β = 90.00°, γ = 90.00°
Element x y z (fractional)
K 0.000 0.000 0.000
Ru 0.000 0.000 0.503
Ru 0.500 0.500 0.681
Pt 0.500 0.500 0.290

Output
size of the total moment = 0.00 μB per cell
N(E_F) = 1.350 states/eV/atom
energy = -23.9 eV/cell
V = 72.77 Å³/f.u.
formation energy = 0.436 eV/atom
polymorph energy (0 for the lowest one) = 0.0 meV/atom



2.
DFT (GGA-PBE) results for an optimized crystal structure of K2LaIr.

a = 3.835 Å, b = 3.835 Å, c = 11.202 Å
α = 90.00°, β = 90.00°, γ = 90.00°
Element x y z (fractional)
K 0.000 0.000 0.000
K 0.500 0.500 0.364
La 0.000 0.000 0.686
Ir 0.500 0.500 0.772

Output
size of the total moment = 0.00 μB per cell
N(E_F) = 0.456 states/eV/atom
energy = -16.2 eV/cell
V = 164.71 Å³/f.u.
formation energy = -0.050 eV/atom
polymorph energy (0 for the lowest one) = 30.5 meV/atom



3.
DFT (GGA-PBE) results for an optimized crystal structure of Gd3Y5O12.

a = 9.314 Å, b = 9.321 Å, c = 9.321 Å
α = 109.49°, β = 109.45°, γ = 109.42°
Element x y z (fractional)
Gd 0.000 0.000 0.000
Gd 0.032 0.218 0.750
Gd 0.250 0.469 0.283
Gd 0.530 0.783 0.814
Gd 0.748 0.967 0.282
Gd 0.813 0.531 0.782
Y 0.031 0.717 0.251
Y 0.064 0.501 0.565
Y 0.281 0.249 0.532
Y 0.281 0.751 0.033
Y 0.315 0.033 0.782
Y 0.497 0.000 0.499
Y 0.532 0.282 0.315
Y 0.564 0.499 0.065
Y 0.780 0.251 0.033
Y 0.782 0.749 0.531
O 0.008 0.490 0.304
O 0.012 0.221 0.490
O 0.019 0.262 0.001
O 0.045 0.482 0.805
O 0.052 0.977 0.769
O 0.053 0.791 0.045
O 0.238 0.979 0.500
O 0.253 0.208 0.263
O 0.269 0.782 0.793
O 0.292 0.721 0.272
O 0.316 0.292 0.803
O 0.322 0.518 0.564
O 0.507 0.706 0.021
O 0.513 0.522 0.293
O 0.518 0.020 0.260
O 0.541 0.238 0.064
O 0.550 0.279 0.572
O 0.553 0.014 0.762
O 0.739 0.738 0.758
O 0.747 0.987 0.543
O 0.770 0.478 0.992
O 0.791 0.023 0.074
O 0.812 0.509 0.519
O 0.824 0.759 0.304

Output
size of the total moment = 41.99 μB per cell
N(E_F) = 0.000 states/eV/atom
energy = -409.0 eV/cell
V = 311.66 Å³/f.u.
formation energy without anion corrections = -3.523 eV per atom

~~~~~

Entry 1:
# PBE Li3AlOs, relaxed
# Spin magnetization ... 0.29 μB/atom
# Calculated total energy ... -2.8653 eV/atom
# Polymorph energy (0 for the lowest one) ... 0.210 eV/atom
# Formation enthalpy at 0 K ... 1.277 eV/atom
# Calculated volume ... 84.49 Å³ per cell
data_Li3AlOs
_chemical_formula_sum 'Li3 Al1 Os1'
_space_group_name_H-M_alt 'P m -3 m'
_space_group_IT_number 221
_space_group_name_Hall '-P 4 2 3'
_cell_length_a 4.388
_cell_length_b 4.388
_cell_length_c 4.388
_cell_angle_alpha 90.00
_cell_angle_beta 90.00
_cell_angle_gamma 90.00
loop_
_atom_site_label
_atom_site_fract_x
_atom_site_fract_y
_atom_site_fract_z
Li1 0.000 0.000 0.500
Al1 0.000 0.000 0.000
Os1 0.500 0.500 0.500


Entry 2:
# PBE LiAlOs2, relaxed
# Spin magnetization ... 0.00 μB/atom
# Calculated total energy ... -7.0040 eV/atom
# Formation enthalpy at 0 K ... 0.025 eV/atom
~~~

  1. Domain Configuration:

    • Provide the domain from which the payment is initiated to the operations team for configuration.
    • The domain should not include http or https, for example: xxx.qq.com.
  2. H5 Page Configuration:

    • Provide the URL of the H5 page that displays the product information to the operations team for configuration.
    • This page must contain detailed product or service information.
    • Ensure that the page URL can be accessed independently outside of WeChat; otherwise, it will not pass the review.

Please adhere strictly to the above requirements to ensure the proper functioning of the WeChat Pay H5 payment feature.